• Entries:
-- begin --
This entry pairs a crystal structure of Y2Sc with its computed X-ray powder pattern. Radiation: a wavelength of 1.5418 Å. Structure: a PBE-relaxed structure.
Peak positions follow from Bragg's law for the DFT cell and can differ from measured ones.

Crystal structure
```
12
Lattice="4.8661 0.0000 0.0000 0.0000 14.7407 0.0000 0.0000 0.0000 4.9471" Properties=species:S:1:pos:R:3 pbc="T T T"
Y 0.0000 1.1790 1.2368
Y 0.0000 3.6526 3.7103
Y 0.0000 11.0881 1.2368
Y 0.0000 13.5617 3.7103
Y 2.4331 3.7178 1.2368
Y 2.4331 6.1913 3.7103
Y 2.4331 8.5493 1.2368
Y 2.4331 11.0229 3.7103
Sc 0.0000 6.1722 1.2368
Sc 0.0000 8.5684 3.7103
Sc 2.4331 1.1981 3.7103
Sc 2.4331 13.5426 1.2368
```

The 10 most intense peaks (2θ from 10° to 80°), sorted by position:
31.57 deg, rel. 100, (1 3 1)
36.32 deg, rel. 17, (0 0 2)
36.58 deg, rel. 16, (0 6 0)
36.95 deg, rel. 16, (2 0 0)
52.50 deg, rel. 11, (0 6 2)
52.78 deg, rel. 11, (2 0 2)
52.97 deg, rel. 11, (2 6 0)
62.39 deg, rel. 13, (1 3 3)
62.73 deg, rel. 13, (1 9 1)
63.23 deg, rel. 13, (3 3 1)

=====

[1]
Diffraction record for Ti4Ir3Rh. The powder diffractogram is theoretical, not measured: it uses a cell relaxed with GGA-PBE and a wavelength of 1.5418 Å.
Neutral-atom scattering factors, no anomalous dispersion.

Crystal structure
Lattice parameters (Å, degrees): 7.5389 7.5389 4.1672 105.96 105.96 32.09
Sites, in units of the cell vectors:
Ti (0.1248, 0.1248, 0.1249)
Ti (0.3752, 0.3752, 0.3752)
Ti (0.6248, 0.6248, 0.6248)
Ti (0.8752, 0.8752, 0.8751)
Ir (0.0000, 0.0000, 0.5000)
Ir (0.2513, 0.2513, 0.7513)
Ir (0.7487, 0.7487, 0.2487)
Rh (0.5000, 0.5000, 0.0000)

The 10 most intense peaks (10° ≤ 2θ ≤ 90°), sorted by position:
d/Å	intensity
3.471	24.9
2.947	33.0
2.246	100.0
2.084	39.9
1.786	16.5
1.736	11.2
1.495	9.4
1.473	12.9
1.334	13.8
1.232	28.4


[2]
Diffraction record for SrDy2Cu2Ge2. The powder diffractogram is theoretical, not measured: it uses a cell relaxed with GGA-PBE and a wavelength of 1.5418 Å.
Neutral-atom scattering factors, no anomalous dispersion.

Crystal structure
Lattice parameters (Å, degrees): 9.8302 9.8302 9.8302 25.88 25.88 25.88
Sites, in units of the cell vectors:
Sr (0.0000, 0.0000, 0.0000)
Dy (0.1293, 0.1293, 0.1293)
Dy (0.8707, 0.8707, 0.8707)
Cu (0.4130, 0.4130, 0.4130)
Cu (0.5870, 0.5870, 0.5870)
Ge (0.2529, 0.2529, 0.2529)
Ge (0.7471, 0.7471, 0.7471)

The 10 most intense peaks (10° ≤ 2θ ≤ 90°), sorted by position:
d/Å	intensity
3.779	30.6
2.782	91.9
2.602	84.5
2.201	100.0
2.143	24.2
1.726	22.0
1.681	22.7
1.438	29.0
1.358	19.5
1.336	21.3


[3]
Diffraction record for Ti2GaGe. The powder diffractogram is theoretical, not measured: it uses a cell relaxed with GGA-PBE and a wavelength of 1.5418 Å.
Neutral-atom scattering factors, no anomalous dispersion.

Crystal structure
Lattice parameters (Å, degrees): 5.1508 3.7137 7.3086 90.00 110.35 90.00
Sites, in units of the cell vectors:
Ti (0.1983, 0.2500, 0.4287)
Ti (0.2861, 0.7500, 0.0665)
Ti (0.7139, 0.2500, 0.9335)
Ti (0.8017, 0.7500, 0.5713)
Ga (0.3941, 0.7500, 0.7032)
Ga (0.6059, 0.2500, 0.2968)
Ge (0.1202, 0.2500, 0.7956)
Ge (0.8798, 0.7500, 0.2044)

The 10 most intense peaks (10° ≤ 2θ ≤ 90°), sorted by position:
d/Å	intensity
3.426	18.8
2.518	100.0
2.407	33.3
2.024	84.8
2.020	21.4
1.857	24.5
1.833	23.4
1.470	15.1
1.305	14.3
1.101	13.9


[4]
Diffraction record for Cr3Fe2C. The powder diffractogram is theoretical, not measured: it uses a cell relaxed with GGA-PBE and a wavelength of 1.5418 Å.
Neutral-atom scattering factors, no anomalous dispersion.

Crystal structure
Lattice parameters (Å, degrees): 6.2995 6.2995 6.2995 90.00 90.00 90.00
Sites, in units of the cell vectors:
Cr (0.0492, 0.1250, 0.7992)
Cr (0.1250, 0.7992, 0.0492)
Cr (0.2008, 0.5492, 0.3750)
Cr (0.2992, 0.4508, 0.8750)
Cr (0.3750, 0.2008, 0.5492)
Cr (0.4508, 0.8750, 0.2992)
Cr (0.5492, 0.3750, 0.2008)
Cr (0.6250, 0.7008, 0.9508)
Cr (0.7008, 0.9508, 0.6250)
Cr (0.7992, 0.0492, 0.1250)
Cr (0.8750, 0.2992, 0.4508)
Cr (0.9508, 0.6250, 0.7008)
-- stop --

• Assignment:
Could you start at the top of the contents further above and retype each line, ending with the one that has "(0.7139, 0.2500,"?

• Written answer:
This entry pairs a crystal structure of Y2Sc with its computed X-ray powder pattern. Radiation: a wavelength of 1.5418 Å. Structure: a PBE-relaxed structure.
Peak positions follow from Bragg's law for the DFT cell and can differ from measured ones.

Crystal structure
```
12
Lattice="4.8661 0.0000 0.0000 0.0000 14.7407 0.0000 0.0000 0.0000 4.9471" Properties=species:S:1:pos:R:3 pbc="T T T"
Y 0.0000 1.1790 1.2368
Y 0.0000 3.6526 3.7103
Y 0.0000 11.0881 1.2368
Y 0.0000 13.5617 3.7103
Y 2.4331 3.7178 1.2368
Y 2.4331 6.1913 3.7103
Y 2.4331 8.5493 1.2368
Y 2.4331 11.0229 3.7103
Sc 0.0000 6.1722 1.2368
Sc 0.0000 8.5684 3.7103
Sc 2.4331 1.1981 3.7103
Sc 2.4331 13.5426 1.2368
```

The 10 most intense peaks (2θ from 10° to 80°), sorted by position:
31.57 deg, rel. 100, (1 3 1)
36.32 deg, rel. 17, (0 0 2)
36.58 deg, rel. 16, (0 6 0)
36.95 deg, rel. 16, (2 0 0)
52.50 deg, rel. 11, (0 6 2)
52.78 deg, rel. 11, (2 0 2)
52.97 deg, rel. 11, (2 6 0)
62.39 deg, rel. 13, (1 3 3)
62.73 deg, rel. 13, (1 9 1)
63.23 deg, rel. 13, (3 3 1)

=====

[1]
Diffraction record for Ti4Ir3Rh. The powder diffractogram is theoretical, not measured: it uses a cell relaxed with GGA-PBE and a wavelength of 1.5418 Å.
Neutral-atom scattering factors, no anomalous dispersion.

Crystal structure
Lattice parameters (Å, degrees): 7.5389 7.5389 4.1672 105.96 105.96 32.09
Sites, in units of the cell vectors:
Ti (0.1248, 0.1248, 0.1249)
Ti (0.3752, 0.3752, 0.3752)
Ti (0.6248, 0.6248, 0.6248)
Ti (0.8752, 0.8752, 0.8751)
Ir (0.0000, 0.0000, 0.5000)
Ir (0.2513, 0.2513, 0.7513)
Ir (0.7487, 0.7487, 0.2487)
Rh (0.5000, 0.5000, 0.0000)

The 10 most intense peaks (10° ≤ 2θ ≤ 90°), sorted by position:
d/Å	intensity
3.471	24.9
2.947	33.0
2.246	100.0
2.084	39.9
1.786	16.5
1.736	11.2
1.495	9.4
1.473	12.9
1.334	13.8
1.232	28.4


[2]
Diffraction record for SrDy2Cu2Ge2. The powder diffractogram is theoretical, not measured: it uses a cell relaxed with GGA-PBE and a wavelength of 1.5418 Å.
Neutral-atom scattering factors, no anomalous dispersion.

Crystal structure
Lattice parameters (Å, degrees): 9.8302 9.8302 9.8302 25.88 25.88 25.88
Sites, in units of the cell vectors:
Sr (0.0000, 0.0000, 0.0000)
Dy (0.1293, 0.1293, 0.1293)
Dy (0.8707, 0.8707, 0.8707)
Cu (0.4130, 0.4130, 0.4130)
Cu (0.5870, 0.5870, 0.5870)
Ge (0.2529, 0.2529, 0.2529)
Ge (0.7471, 0.7471, 0.7471)

The 10 most intense peaks (10° ≤ 2θ ≤ 90°), sorted by position:
d/Å	intensity
3.779	30.6
2.782	91.9
2.602	84.5
2.201	100.0
2.143	24.2
1.726	22.0
1.681	22.7
1.438	29.0
1.358	19.5
1.336	21.3


[3]
Diffraction record for Ti2GaGe. The powder diffractogram is theoretical, not measured: it uses a cell relaxed with GGA-PBE and a wavelength of 1.5418 Å.
Neutral-atom scattering factors, no anomalous dispersion.

Crystal structure
Lattice parameters (Å, degrees): 5.1508 3.7137 7.3086 90.00 110.35 90.00
Sites, in units of the cell vectors:
Ti (0.1983, 0.2500, 0.4287)
Ti (0.2861, 0.7500, 0.0665)
Ti (0.7139, 0.2500, 0.9335)